Philippine Duchesne: Celebrating Her Life and Legacy
July 12-16, 2017
Saint Louis University Busch Student Center
20 N Grand Blvd., St. Louis, MO 63103
Reflections on the Spirituality Forum
The Sacred Heart Spirituality Forum 2017 is entered into the archives.
More than 360 participants travelling from some 24 countries came to the Missouri campus of Saint Louis University, July 12-16, 2017. They came ready to open their minds and hearts to Saint Rose Philippine Duchesne. In deepening their knowledge of her, the participants themselves were invited to cross new frontiers: intellectually, emotionally and spiritually.
Keynote speakers, breakout groups, liturgies, meals and prayers in common were part of the experience of Cor Unum/One Heart, in the Heart of Jesus. For many the renewing of old and making new relationships, opened the possibility for lives to be enriched and energized to reveal anew the Society’s charism in the light of Philippine’s lasting legacy.
Click here for some participants’ comments that reflect the various perspectives of the Forum: RSCJ, international, Associates, alums, friends, network faculty/administration and students. We share them in deep gratitude for the many graces received. We look forward with hope for the many more graces awaiting us during this blessed 200th anniversary celebration of Saint Philippine Duchesne crossing frontiers.
~ The Forum Steering Committee
# Attached: calculated crystals
'''
VASP calculation (PBE with a Hubbard U) on a relaxed LiVPO5 crystal.

Structure (POSCAR):
```
LiVPO5
1.0
12.621 0.000 0.000
0.000 6.310 0.000
0.000 0.000 10.526
Li V P O
8 8 8 40
direct
0.109 0.174 0.000 Li
0.118 0.846 0.789 Li
0.382 0.346 0.289 Li
0.391 0.674 0.500 Li
0.609 0.326 0.000 Li
0.618 0.654 0.789 Li
0.882 0.154 0.289 Li
0.891 0.826 0.500 Li
0.131 0.963 0.404 V
0.228 0.740 0.129 V
0.272 0.240 0.629 V
0.369 0.463 0.904 V
0.631 0.537 0.404 V
0.728 0.760 0.129 V
0.772 0.260 0.629 V
0.869 0.037 0.904 V
0.018 0.170 0.647 P
0.183 0.462 0.377 P
0.317 0.962 0.877 P
0.482 0.670 0.147 P
0.518 0.330 0.647 P
0.683 0.038 0.377 P
0.817 0.538 0.877 P
0.982 0.830 0.147 P
0.009 0.068 0.783 O
0.021 0.978 0.550 O
0.074 0.678 0.115 O
0.109 0.270 0.369 O
0.117 0.654 0.419 O
0.120 0.300 0.638 O
0.204 0.930 0.244 O
0.219 0.928 0.971 O
0.242 0.002 0.497 O
0.244 0.494 0.249 O
0.256 0.994 0.749 O
0.258 0.502 0.997 O
0.281 0.428 0.471 O
0.296 0.430 0.744 O
0.380 0.800 0.138 O
0.383 0.154 0.919 O
0.391 0.770 0.869 O
0.426 0.178 0.615 O
0.479 0.478 0.050 O
0.491 0.568 0.283 O
0.509 0.432 0.783 O
0.521 0.522 0.550 O
0.574 0.822 0.115 O
0.609 0.230 0.369 O
0.617 0.846 0.419 O
0.620 0.200 0.638 O
0.704 0.570 0.244 O
0.719 0.572 0.971 O
0.742 0.498 0.497 O
0.744 0.006 0.249 O
0.756 0.506 0.749 O
0.758 0.998 0.997 O
0.781 0.072 0.471 O
0.796 0.070 0.744 O
0.880 0.700 0.138 O
0.883 0.346 0.919 O
0.891 0.730 0.869 O
0.926 0.322 0.615 O
0.979 0.022 0.050 O
0.991 0.932 0.283 O
```

Values from the calculation:
size of the total moment	7.99	μB per cell
calculated formation energy	-249.4	kJ per mole of atoms
distance to the lowest polymorph of the same formula	81.3	meV per atom
calculated volume	13.098	A^3/atom

* * * * *

Entry 1:
## RbPrH8S2O12 (PBE-GGA)

Data for a relaxed structure of RbPrH8S2O12.

Symmetry = P2_1/c, No. 14
E_form = -1.898 eV/atom
Total moment = 0.000 μB/atom
Energy = -551.5 eV for the cell shown
E (MP2020) = -6.088 eV/atom

extended XYZ file:
```
96
Lattice="19.206 0.000 0.000 0.000 6.767 0.000 0.000 1.122 8.740" Properties=species:S:1:pos:R:3 pbc="T T T"
O 17.033 1.658 0.568
O 1.125 5.359 4.027
O 8.008 3.028 5.115
O 2.288 0.357 1.754
H 9.422 6.074 8.569
H 12.216 2.754 5.662
O 19.165 4.858 1.437
Pr 2.376 4.640 1.903
S 11.034 5.773 2.433
Rb 4.045 2.027 7.848
O 11.776 2.219 4.938
O 11.518 6.758 7.325
O 10.728 1.968 0.343
O 0.018 1.195 2.118
O 2.173 6.231 8.172
H 10.879 2.036 5.320
Rb 5.558 1.467 3.478
O 0.041 3.031 7.303
O 9.585 1.755 6.488
O 9.644 5.419 5.808
O 14.082 4.121 3.064
O 16.918 7.532 6.986
O 9.562 2.470 2.933
O 7.674 2.929 7.480
H 10.301 5.923 6.360
S 5.398 4.324 0.900
Rb 15.161 5.861 0.892
H 8.092 0.239 1.444
H 18.508 5.362 1.990
S 17.775 6.334 6.803
O 4.479 3.207 1.306
O 18.081 2.529 4.713
S 4.205 4.885 5.270
H 0.181 5.513 4.199
O 14.727 4.682 7.435
H 0.532 3.330 8.111
O 19.188 6.694 6.623
H 8.041 4.595 0.522
O 5.746 5.300 8.205
Pr 7.227 5.201 6.273
H 1.562 5.156 4.893
O 17.291 6.197 2.955
H 1.511 0.800 5.814
H 16.593 2.193 1.291
'''
# Here the entry continues
Kathy McGrath, RSCJ (Chair); Mary Charlotte Chandler, RSCJ; Matthew Anita MacDonald, SSJ; Rhonda Meegan; Diane Roche, RSCJ; Julie Siderfin; and Margie Strom, RSCJ
Click here for a story about a treasured gift the province received during the Forum!
Featured speakers
Catherine Mooney
Lives That Matter: Philippine Duchesne and Solidarity Across Frontiers
Gerardette Philips, RSCJ
Crossing Religious Frontiers: Discovering Anew the Interior Life
Priscilla Solomon, CSJ
All My Relations: Circle of Life
Click here for more information about our keynote speakers.
Breakout sessions
The more than 30 breakout sessions offered by RSCJ from USC and International provinces, associates, alumni, faculty and friends spanned myriad topics, several in Spanish. For example: the friendship of Sophie and Philippine; life in Sugar Creek; how RSCJ pray; the Black Madonna; Pope Francis’ Laudato Si from a scientist’s perspective; confront immigration or trafficking from an insiders point of view; explore the Potawatomi Trail of Death in preparation to make a commemorative walk; experience the power of silence in our lives; make a joyful sound with music; learn the meditative walk of a labyrinth; delve into the spirituality of Philippine; the influence upon Philippine by St. John Francis Regis; the artwork of indigenous people; how RSCJ have made a difference in Cuba; or how they are following the footsteps of Philippine in the new Philippine Region of the International Society.
Click here for a photo album of the Society of the Sacred Heart Spirituality Forum 2017
Click here for a photo album of the Pilgrimage to Kansas following the Spirituality Forum